## Assignment
What is needed: return all of the lines underneath exactly.
## Source
+++
[1]
MgCdPb, relaxed, DFT GGA-PBEsol; ΔH_f (0 K) = -0.024 eV/atom; symmetry = Imm2 (44)
1.0
-0.7523 -2.6649 1.8754
-0.8006 -2.3703 -3.6894
5.4668 1.1125 0.7919
Pb Cd Mg
1 1 1
Direct
0.3335 0.3335 0.6670 Pb
0.0057 0.0057 0.0115 Cd
0.6608 0.6608 0.3215 Mg

***

[2]
TcN, relaxed, DFT GGA-PBEsol; E_form (uncorrected) = -0.1 eV per formula unit; symmetry = F-43m (216)
1.0
-0.4174 0.5126 -3.1282
1.5679 -1.7890 -2.1363
-1.5896 -2.1347 -1.7716
Tc N
1 1
Direct
0.0000 0.0000 0.0000 Tc
0.7500 0.7500 0.7500 N

***

[3]
LiPt2Br, relaxed, DFT GGA-PBEsol; E_form (uncorrected) = -0.6 eV per formula unit; symmetry = C2/m (12)
1.0
-2.3569 -2.2343 0.9902
2.6774 -2.5157 0.6964
1.4704 3.0692 4.6045
Br Pt Li
1 2 1
Direct
0.5000 0.0000 0.0000 Br
0.7200 0.7382 0.4400 Pt
0.2800 0.2618 0.5600 Pt
0.0000 0.5000 0.0000 Li

***

[4]
SbSe7, relaxed, DFT GGA-PBEsol; E_form (uncorrected) = 3.9 eV per formula unit; symmetry = Fm-3m (225)
1.0
6.1147 0.0000 0.0000
3.0573 5.2955 0.0000
3.0573 1.7652 4.9926
Se Sb
7 1
Direct
0.0000 0.0000 0.5000 Se
0.5000 0.0000 0.5000 Se
0.0000 0.5000 0.0000 Se
0.5000 0.5000 0.0000 Se
0.0000 0.5000 0.5000 Se
0.5000 0.5000 0.5000 Se
0.5000 0.0000 0.0000 Se
0.0000 0.0000 0.0000 Sb

***

[5]
Rb3ErF6, relaxed, DFT GGA-PBEsol; E_form (uncorrected) = -33.0 eV per formula unit; symmetry = Fm-3m (225)
1.0
-1.3319 2.5592 -6.0230
-0.2777 -3.9999 -5.3407
-5.8673 -1.2483 -2.9354
F Er Rb
6 1 3
Direct
0.7750 0.2250 0.2250 F
0.7750 0.7750 0.2250 F
0.2250 0.7750 0.2250 F
0.7750 0.2250 0.7750 F
0.2250 0.7750 0.7750 F
0.2250 0.2250 0.7750 F
0.0000 0.0000 0.0000 Er
0.2500 0.2500 0.2500 Rb
0.7500 0.7500 0.7500 Rb
0.5000 0.5000 0.5000 Rb

***

[6]
CoTcHg2, relaxed, DFT GGA-PBEsol; ΔH_f (0 K) = 0.618 eV/atom; symmetry = P4/mmm (123)
1.0
-0.4214 -0.5271 -2.9164
2.2808 -1.9387 0.0208
-4.4580 -5.2277 1.5890
Hg Co Tc
2 1 1
Direct
0.0000 0.0000 0.2665 Hg
0.0000 0.0000 0.7335 Hg
0.5000 0.5000 0.5000 Co
0.5000 0.5000 0.0000 Tc

***

[7]
Mn2NbCrGa, relaxed, DFT GGA-PBEsol; ΔH_f (0 K) = 1.505 eV/atom; symmetry = P4/mmm (123)
1.0
-1.0885 -4.3533 0.5934
1.4279 -0.9286 -4.1937
4.5389 -0.8971 1.7441
Mn Cr Nb Ga
2 1 1 1
Direct
0.5000 0.0000 0.0000 Mn
0.0000 0.5000 0.0000 Mn
0.5000 0.5000 0.5000 Cr
0.0000 0.0000 0.0000 Nb
0.0000 0.0000 0.5000 Ga

***

[8]
BeSnBi2, relaxed, DFT GGA-PBEsol; ΔH_f (0 K) = 0.223 eV/atom; symmetry = I-42d (122)
1.0
-4.7654 -3.5110 1.8937
-0.8186 -2.0267 -5.8176
6.7477 -2.0035 3.0680
Bi Be Sn
4 2 2
Direct
0.8188 0.3750 0.2500 Bi
0.4312 0.8750 0.2500 Bi
0.6250 0.5688 0.7500 Bi
0.1250 0.1812 0.7500 Bi
0.5000 0.5000 0.0000 Be
0.7500 0.2500 0.5000 Be
0.2500 0.7500 0.5000 Sn
0.0000 0.0000 0.0000 Sn

----------

The following is a DFT calculation (GGA-PBE) of Li2DyMgAg2 after structural relaxation.

Geometry as POSCAR:
```
Li2DyMgAg2
1.0
4.6177 0.0000 0.0000
-2.3089 3.9991 0.0000
0.0000 0.0000 6.5507
Li Dy Mg Ag
2 1 1 2
direct
0.3333 0.6667 0.1839
0.6667 0.3333 0.8161
0.0000 0.0000 0.5000
0.0000 0.0000 0.0000
0.3333 0.6667 0.7604
0.6667 0.3333 0.2396
```

Values from the calculation:
formation enthalpy at 0 K	-170	meV per atom
size of the total moment	0.000	μB/f.u.

The following is a DFT calculation (GGA-PBE) of Sc2AlHgN after structural relaxation.

Geometry as POSCAR:
```
Sc2AlHgN
1.0
4.4916 0.0000 0.0000
0.0000 4.4916 0.0000
0.0000 0.0000 4.0499
Sc Al Hg N
2 1 1 1
direct
0.0000 0.5000 0.0000
0.5000 0.0000 0.0000
0.0000 0.0000 0.5000
0.5000 0.5000 0.5000
0.0000 0.0000 0.0000
```

Values from the calculation:
formation energy (no corrections)	-834	meV per atom
size of the total moment	0.000	μB/f.u.

The following is a DFT calculation (GGA-PBE) of ErAlAs2O8 after structural relaxation.

Geometry as POSCAR:
```
ErAlAs2O8
1.0
-3.4120 3.4120 3.0745
3.4120 -3.4120 3.0745
3.4120 3.4120 -3.0745
Er Al As O
1 1 2 8
direct
0.0000 0.0000 0.0000
0.2500 0.7500 0.5000
0.5000 0.5000 0.0000
0.7500 0.2500 0.5000
0.3187 0.1246 0.8059
0.3187 0.5129 0.1941
0.3760 0.0545 0.3215
0.4871 0.6813 0.8059
0.7330 0.0545 0.6785
0.8754 0.6813 0.1941
0.9455 0.2670 0.3215
+++
## Solution
[1]
MgCdPb, relaxed, DFT GGA-PBEsol; ΔH_f (0 K) = -0.024 eV/atom; symmetry = Imm2 (44)
1.0
-0.7523 -2.6649 1.8754
-0.8006 -2.3703 -3.6894
5.4668 1.1125 0.7919
Pb Cd Mg
1 1 1
Direct
0.3335 0.3335 0.6670 Pb
0.0057 0.0057 0.0115 Cd
0.6608 0.6608 0.3215 Mg

***

[2]
TcN, relaxed, DFT GGA-PBEsol; E_form (uncorrected) = -0.1 eV per formula unit; symmetry = F-43m (216)
1.0
-0.4174 0.5126 -3.1282
1.5679 -1.7890 -2.1363
-1.5896 -2.1347 -1.7716
Tc N
1 1
Direct
0.0000 0.0000 0.0000 Tc
0.7500 0.7500 0.7500 N

***

[3]
LiPt2Br, relaxed, DFT GGA-PBEsol; E_form (uncorrected) = -0.6 eV per formula unit; symmetry = C2/m (12)
1.0
-2.3569 -2.2343 0.9902
2.6774 -2.5157 0.6964
1.4704 3.0692 4.6045
Br Pt Li
1 2 1
Direct
0.5000 0.0000 0.0000 Br
0.7200 0.7382 0.4400 Pt
0.2800 0.2618 0.5600 Pt
0.0000 0.5000 0.0000 Li

***

[4]
SbSe7, relaxed, DFT GGA-PBEsol; E_form (uncorrected) = 3.9 eV per formula unit; symmetry = Fm-3m (225)
1.0
6.1147 0.0000 0.0000
3.0573 5.2955 0.0000
3.0573 1.7652 4.9926
Se Sb
7 1
Direct
0.0000 0.0000 0.5000 Se
0.5000 0.0000 0.5000 Se
0.0000 0.5000 0.0000 Se
0.5000 0.5000 0.0000 Se
0.0000 0.5000 0.5000 Se
0.5000 0.5000 0.5000 Se
0.5000 0.0000 0.0000 Se
0.0000 0.0000 0.0000 Sb

***

[5]
Rb3ErF6, relaxed, DFT GGA-PBEsol; E_form (uncorrected) = -33.0 eV per formula unit; symmetry = Fm-3m (225)
1.0
-1.3319 2.5592 -6.0230
-0.2777 -3.9999 -5.3407
-5.8673 -1.2483 -2.9354
F Er Rb
6 1 3
Direct
0.7750 0.2250 0.2250 F
0.7750 0.7750 0.2250 F
0.2250 0.7750 0.2250 F
0.7750 0.2250 0.7750 F
0.2250 0.7750 0.7750 F
0.2250 0.2250 0.7750 F
0.0000 0.0000 0.0000 Er
0.2500 0.2500 0.2500 Rb
0.7500 0.7500 0.7500 Rb
0.5000 0.5000 0.5000 Rb

***

[6]
CoTcHg2, relaxed, DFT GGA-PBEsol; ΔH_f (0 K) = 0.618 eV/atom; symmetry = P4/mmm (123)
1.0
-0.4214 -0.5271 -2.9164
2.2808 -1.9387 0.0208
-4.4580 -5.2277 1.5890
Hg Co Tc
2 1 1
Direct
0.0000 0.0000 0.2665 Hg
0.0000 0.0000 0.7335 Hg
0.5000 0.5000 0.5000 Co
0.5000 0.5000 0.0000 Tc

***

[7]
Mn2NbCrGa, relaxed, DFT GGA-PBEsol; ΔH_f (0 K) = 1.505 eV/atom; symmetry = P4/mmm (123)
1.0
-1.0885 -4.3533 0.5934
1.4279 -0.9286 -4.1937
4.5389 -0.8971 1.7441
Mn Cr Nb Ga
2 1 1 1
Direct
0.5000 0.0000 0.0000 Mn
0.0000 0.5000 0.0000 Mn
0.5000 0.5000 0.5000 Cr
0.0000 0.0000 0.0000 Nb
0.0000 0.0000 0.5000 Ga

***

[8]
BeSnBi2, relaxed, DFT GGA-PBEsol; ΔH_f (0 K) = 0.223 eV/atom; symmetry = I-42d (122)
1.0
-4.7654 -3.5110 1.8937
-0.8186 -2.0267 -5.8176
6.7477 -2.0035 3.0680
Bi Be Sn
4 2 2
Direct
0.8188 0.3750 0.2500 Bi
0.4312 0.8750 0.2500 Bi
0.6250 0.5688 0.7500 Bi
0.1250 0.1812 0.7500 Bi
0.5000 0.5000 0.0000 Be
0.7500 0.2500 0.5000 Be
0.2500 0.7500 0.5000 Sn
0.0000 0.0000 0.0000 Sn

----------

The following is a DFT calculation (GGA-PBE) of Li2DyMgAg2 after structural relaxation.

Geometry as POSCAR:
```
Li2DyMgAg2
1.0
4.6177 0.0000 0.0000
-2.3089 3.9991 0.0000
0.0000 0.0000 6.5507
Li Dy Mg Ag
2 1 1 2
direct
0.3333 0.6667 0.1839
0.6667 0.3333 0.8161
0.0000 0.0000 0.5000
0.0000 0.0000 0.0000
0.3333 0.6667 0.7604
0.6667 0.3333 0.2396
```

Values from the calculation:
formation enthalpy at 0 K	-170	meV per atom
size of the total moment	0.000	μB/f.u.

The following is a DFT calculation (GGA-PBE) of Sc2AlHgN after structural relaxation.

Geometry as POSCAR:
```
Sc2AlHgN
1.0
4.4916 0.0000 0.0000
0.0000 4.4916 0.0000
0.0000 0.0000 4.0499
Sc Al Hg N
2 1 1 1
direct
0.0000 0.5000 0.0000
0.5000 0.0000 0.0000
0.0000 0.0000 0.5000
0.5000 0.5000 0.5000
0.0000 0.0000 0.0000
```

Values from the calculation:
formation energy (no corrections)	-834	meV per atom
size of the total moment	0.000	μB/f.u.

The following is a DFT calculation (GGA-PBE) of ErAlAs2O8 after structural relaxation.

Geometry as POSCAR:
```
ErAlAs2O8
1.0
-3.4120 3.4120 3.0745
3.4120 -3.4120 3.0745
3.4120 3.4120 -3.0745
Er Al As O
1 1 2 8
direct
0.0000 0.0000 0.0000
0.2500 0.7500 0.5000
0.5000 0.5000 0.0000
0.7500 0.2500 0.5000
0.3187 0.1246 0.8059
0.3187 0.5129 0.1941
0.3760 0.0545 0.3215
0.4871 0.6813 0.8059
0.7330 0.0545 0.6785
0.8754 0.6813 0.1941
0.9455 0.2670 0.3215